String Quartet
About this Piece
The concert series I directed at Yoko Ono's studio on Chambers Street in 1960-61 was perhaps the first series to take place in a loft in New York City, thus representing one of the beginnings of alternative performance spaces. Because of the advantages of unlimited rehearsal and performance time, I was able to give each composer two entire evenings devoted to their own works. It is significant that I chose the work of Terry Jennings to open the series. Without doubt, I considered Terry the most talented musician I knew at that time. Terry, who was then only 20 years old, flew to New York to perform for the occasion.
**Next to the page, the page also holds crystal structures**
=====
# 1
Computed, not measured: an optimized crystal structure of CdSiOs2C at the PBE level of DFT.

Cell lengths 4.655, 4.655, 3.590 Å; angles 90.00, 90.00, 90.00 degrees
Atoms (fractional coordinates):
Cd 0.000 0.000 0.000
Si 0.500 0.500 0.500
Os 0.000 0.500 0.500
Os 0.500 0.000 0.500
C 0.500 0.500 0.000

Results
energy relative to the elements, uncorrected	1.5620	eV per atom
space-group type	P4/mmm (123)

---

# 2
Computed, not measured: an optimized crystal structure of CdSn2OsC at the PBE level of DFT.

Cell lengths 4.687, 4.687, 4.266 Å; angles 90.00, 90.00, 90.00 degrees
Atoms (fractional coordinates):
Cd 0.000 0.000 0.000
Sn 0.000 0.500 0.500
Sn 0.500 0.000 0.500
Os 0.500 0.500 0.000
C 0.000 0.000 0.500

Results
calculated formation energy	129.09	kJ/mol of atoms
space-group type	P4/mmm (123)

~~~~~

Record 1
A geometry-optimized SrZnP2S8 structure, computed with PBE-GGA.

extended XYZ file:
```
12
Lattice="5.793 0.000 0.000 -2.897 5.017 0.000 0.000 0.000 9.025" Properties=species:S:1:pos:R:3 pbc="T T T"
Sr 0.000 0.000 0.000
Zn 0.000 0.000 4.512
P 0.000 3.345 6.773
P 2.897 1.672 2.252
S -1.918 3.392 2.844
S 0.918 1.660 2.844
S 1.897 0.035 6.180
S 0.000 3.345 8.806
S 2.897 1.672 0.219
S 1.000 4.982 2.844
S 1.978 3.357 6.180
S 4.815 1.625 6.180
```

## Properties
The magnetization comes out at 1.60 μB per formula unit. The formation energy (no corrections) is -40.9 kJ/mol of atoms.



Record 2
A geometry-optimized Cs2ErCd3F12 structure, computed with PBE-GGA.

extended XYZ file:
```
18
Lattice="4.004 2.312 6.765 -4.004 2.312 6.765 0.000 -4.623 6.765" Properties=species:S:1:pos:R:3 pbc="T T T"
Cs 0.000 0.000 2.390
Cs 0.000 0.000 17.904
Er 0.000 0.000 10.147
Cd -2.002 -1.156 6.765
Cd -2.002 1.156 13.530
Cd 0.000 2.312 6.765
F 0.000 -1.884 6.273
F -1.632 0.942 6.273
F -1.566 -0.904 8.967
F -1.632 -0.942 14.021
F 0.000 -1.808 11.327
F -1.566 0.904 11.327
F 1.566 -0.904 8.967
F 0.000 1.808 8.967
F 1.632 0.942 6.273
F 1.566 0.904 11.327
F 1.632 -0.942 14.021
F 0.000 1.884 14.021
```

## Properties
The magnetization comes out at 0.00 μB per formula unit. The formation energy (no corrections) is -255.5 kJ/mol of atoms.



Record 3
A geometry-optimized LiNb2Sn2 structure, computed with PBE-GGA.

extended XYZ file:
```
10
Lattice="7.340 0.000 0.000 0.000 7.340 0.000 0.000 0.000 3.788" Properties=species:S:1:pos:R:3 pbc="T T T"
Li 0.000 0.000 0.000
Li 3.670 3.670 0.000
Nb 1.081 2.589 1.894
Nb 2.589 6.259 1.894
Nb 4.751 1.081 1.894
Nb 6.259 4.751 1.894
Sn 1.098 4.768 0.000
Sn 2.572 1.098 0.000
Sn 4.768 6.242 0.000
Sn 6.242 2.572 0.000
```

## Properties
The energy of formation from the pure elements comes out at 0.04 eV per atom. The calculation puts the excess energy over the best structure of this formula in the dataset at 0.14 eV/f.u. The magnetization comes out at 0.00 μB per formula unit.



Record 4
A geometry-optimized Pm8Ir5Au structure, computed with PBE-GGA.

extended XYZ file:
```
14
=====
Terry Jennings and Dennis Johnson were the first musicians to understand the unique tonal language, sustained tones, silences, and extended duration format of my works for Brass (1957), for Guitar (1958), and, in particular, the Trio for Strings (1958). Both Terry and Dennis utilized harmonic material based on my four-pitch "Dream Chords," which were the underlying harmonic basis for these works and later became the entire tonal content of my work, The Four Dreams of China (1962). Dennis' very beautiful work The Second Machine (1959) consisted of only the four pitches delineated in one of my chords, presented according to a unique system of permutations obtained from the scores which consisted of matboard constructions with dials to spin and notated strips to slide past windowed openings in the board. Terry, on the other hand, proved right away to be the romantic (the three of us used to talk about who was "the most romantic"): although his harmonies in the String Quartet grew out of the "dream chords," they were richly set with octave doublings and unusual voicings. It was a further innovation that the comparatively long durations were measured by stopwatch rather than metered notation, allowing the work to exist even more outside of time. The combination of translucent clarity and rare feeling portrayed in the String Quartet is truly inspirational.
Next to the text, the page also holds materials data.
- - -
Record 1
GGA-PBE Cs2RhCl5O, relaxed; E = -3.7181 eV per atom; spin magnetization = 2.13 μB/f.u.; crystal system = orthorhombic; SG = Cmcm (63)
1.0
3.6179 -8.7162 0.0000
3.6179 8.7162 0.0000
0.0000 0.0000 8.7346
Rh Cl O Cs
2 10 2 4
direct
0.8856 0.1144 0.7500
0.1144 0.8856 0.2500
0.2525 0.7475 0.2500
0.8851 0.6482 0.0581
0.1149 0.3518 0.9419
0.3518 0.1149 0.4419
0.6482 0.8851 0.5581
0.6482 0.8851 0.9419
0.1149 0.3518 0.5581
0.7475 0.2525 0.7500
0.3518 0.1149 0.0581
0.8851 0.6482 0.4419
0.9887 0.0113 0.7500
0.0113 0.9887 0.2500
0.7689 0.2311 0.2500
0.4708 0.5292 0.2500
0.5292 0.4708 0.7500
0.2311 0.7689 0.7500

Record 2
GGA-PBE Cs4Ru2Cl10O, relaxed; E = -3.9891 eV per atom; spin magnetization = 0.00 μB/f.u.; crystal system = orthorhombic; SG = Pbca (61)
1.0
-1.5316 -0.8251 12.1011
-4.6732 -11.7939 -1.3956
13.0597 -5.3274 1.2897
Cl Cs Ru O
40 16 8 4
direct
0.7146 0.8713 0.0164
0.2146 0.1287 0.4836
0.9733 0.9876 0.7174
0.0267 0.5124 0.2174
0.6972 0.3756 0.7132
0.1979 0.8987 0.6029
0.7854 0.8713 0.5164
0.0267 0.0124 0.2826
0.1972 0.1244 0.7132
0.4733 0.0124 0.7826
0.5121 0.2166 0.0964
0.3028 0.1244 0.2132
0.8028 0.3756 0.2132
0.5121 0.7166 0.4036
0.8028 0.8756 0.2868
0.8021 0.6013 0.1029
0.6972 0.8756 0.7868
0.3028 0.6244 0.2868
0.5267 0.4876 0.2826
0.4879 0.7834 0.9036
0.4879 0.2834 0.5964
0.1979 0.3987 0.8971
0.9879 0.2166 0.5964
0.8021 0.1013 0.3971
0.4733 0.5124 0.7174
0.1972 0.6244 0.7868
0.9733 0.4876 0.7826
0.6979 0.1013 0.8971
0.2146 0.6287 0.0164
0.7146 0.3713 0.4836
0.3021 0.8987 0.1029
0.0121 0.7834 0.4036
0.2854 0.1287 0.9836
0.2854 0.6287 0.5164
0.3021 0.3987 0.3971
0.6979 0.6013 0.6029
0.0121 0.2834 0.0964
0.9879 0.7166 0.9036
0.7854 0.3713 0.9836
0.5267 0.9876 0.2174
0.2789 0.3928 0.1375
0.2211 0.3928 0.6375
0.7211 0.6072 0.8625
0.4770 0.2755 0.8541
0.5230 0.7245 0.1459
0.2789 0.8928 0.3625
0.7789 0.6072 0.3625
0.7211 0.1072 0.6375
0.7789 0.1072 0.1375
0.0230 0.2755 0.3541
0.5230 0.2245 0.3541
0.9770 0.2245 0.8541
0.9770 0.7245 0.6459
0.4770 0.7755 0.6459
0.0230 0.7755 0.1459
0.2211 0.8928 0.8625
0.5866 0.9466 0.9085
0.0866 0.0534 0.5915
0.9134 0.4466 0.0915
0.4134 0.5534 0.4085
0.5866 0.4466 0.5915
0.4134 0.0534 0.0915
0.0866 0.5534 0.9085
0.9134 0.9466 0.4085
0.0000 0.5000 0.0000
0.5000 0.5000 0.5000
0.0000 0.0000 0.5000
0.5000 0.0000 0.0000

Record 3
GGA-PBE Cs2SCl6O, relaxed; E = -2.8274 eV per atom; DOS(E_F) = 0.2118 states/eV per atom; spin magnetization = 0.00 μB/f.u.; crystal system = tetragonal; SG = I4/mmm (139)
1.0
6.7725 0.0000 0.0000
0.0000 6.7725 0.0000
3.3863 3.3863 5.7711
Cl Cs O S
6 2 1 1
direct
0.7997 0.7997 0.4006
0.7421 0.2579 0.0000
0.2003 0.2003 0.5994
0.2579 0.2579 0.0000
0.2579 0.7421 0.0000
0.7421 0.7421 0.0000
0.2500 0.7500 0.5000
0.7500 0.2500 0.5000
0.5000 0.5000 0.0000
0.0000 0.0000 0.0000

Record 4
GGA-PBE CsSCl2O, relaxed; E = -1.8319 eV per atom; DOS(E_F) = 2.7641 states/eV per atom; spin magnetization = 4.65 μB/f.u.; crystal system = tetragonal; SG = P4/mmm (123)
1.0
-5.1384 3.1456 0.8889
- - -
For the second evening of his concerts at Yoko Ono's loft in December 1960, Terry scheduled several tape recordings of his music, including the String Quartet. The works of Terry Jennings are cared for and preserved in the MELA Foundation archives. Recordings of his works are planned for release on the Just Dreams label. In 1989, Marian Zazeela and I organized a Terry Jennings Memorial Concert with live performances and tape recordings of his music at the Dia Art Foundation in New York City under MELA Foundation auspices. On this program, Charles Curtis performed the New York live premiere of Terry's String Quartet with the Theatre of Eternal Music String Ensemble, under my direction. Tonight's performance by the CalArts New Century Players is the California live premiere.
== Next to the article, the page also holds materials data ==
<<<
[1]
Material: Ho2Al7
Method: DFT, PBE
State: relaxed

- DFT formation energy: -0.2935 eV/atom
- Density of states at the Fermi level: 0.4330 states/eV/atom
- E: -4.222 eV/atom

abc: 5.4977 5.4977 13.6834
angles: 78.41 78.41 60.00
With the nearest neighbours (Å) after each atom.
Element x y z (fractional)
1 Al 0.8934 0.3867 0.3333  7 Al 2.71-2.79
2 Al 0.3867 0.3867 0.3333  7 Al 2.71-2.79
3 Al 0.6133 0.6133 0.6667  7 Al 2.71-2.79
4 Al 0.2785 0.2785 0.1645  6 Al 2.70-2.74
5 Al 0.0000 0.5000 0.0000  8 Al 2.70-2.75
6 Al 0.5000 0.5000 0.0000  8 Al 2.70-2.75
7 Al 0.6111 0.6111 0.1667  6 Al 2.73-2.74
8 Al 0.6133 0.1066 0.6667  7 Al 2.71-2.79
9 Al 0.3867 0.8934 0.3333  7 Al 2.71-2.79
10 Al 0.5000 0.5000 0.5000  6 Al 2.74
11 Al 0.7215 0.7215 0.8355  6 Al 2.70-2.74
12 Al 0.5000 0.0000 0.0000  8 Al 2.70-2.75
13 Al 0.1066 0.6133 0.6667  7 Al 2.71-2.79
14 Al 0.3889 0.3889 0.8333  6 Al 2.73-2.74
15 Ho 0.1499 0.1499 0.5502  12 Al 3.16-3.28, 3 Ho 3.44
16 Ho 0.8501 0.8501 0.4498  12 Al 3.16-3.28, 3 Ho 3.44
17 Ho 0.9462 0.9462 0.1614  12 Al 3.17-3.49
18 Ho 0.0538 0.0538 0.8386  12 Al 3.17-3.49


[2]
Material: ZrTa5
Method: DFT, PBE
State: relaxed

- Energy above the most stable polymorph in this dataset: 6 meV per atom
- DFT formation energy: 0.0864 eV/atom
- Density of states at the Fermi level: 1.7947 states/eV/atom
- E: -11.216 eV/atom

abc: 7.3097 7.3097 4.7874
angles: 90.00 90.00 153.58
With the nearest neighbours (Å) after each atom.
Element x y z (fractional)
1 Zr 0.1389 0.8611 0.5000  8 Ta 2.92-2.97
2 Ta 0.6388 0.3612 0.0000  4 Zr 2.92, 4 Ta 2.92
3 Ta 0.9706 0.0294 0.0000  8 Ta 2.86-2.92
4 Ta 0.8118 0.1882 0.5000  6 Ta 2.76-2.92, 2 Zr 2.97
5 Ta 0.4661 0.5339 0.5000  6 Ta 2.76-2.92, 2 Zr 2.97
6 Ta 0.3072 0.6928 0.0000  8 Ta 2.86-2.92


[3]
Material: K2ScRu
Method: DFT, PBE
State: relaxed

- Energy above the most stable polymorph in this dataset: 8 meV per atom
- DFT formation energy: 0.2896 eV/atom
- Density of states at the Fermi level: 0.7196 states/eV/atom
- E: -4.161 eV/atom

abc: 10.7306 10.7306 10.7306
angles: 162.23 158.20 28.27
With the nearest neighbours (Å) after each atom.
Element x y z (fractional)
1 Ru 0.2500 0.7500 0.5000  4 Sc 2.62
2 K 0.4002 0.4002 0.0000  2 K 3.32, 2 Ru 3.54
3 K 0.0998 0.0998 0.0000  2 K 3.32, 2 Ru 3.54
4 Sc 0.7500 0.2500 0.5000  4 Ru 2.62


[4]
Material: LaTl3Ir
Method: DFT, PBE
State: relaxed

- Energy above the most stable polymorph in this dataset: 1502 meV per atom
- DFT formation energy: 1.6072 eV/atom
- Density of states at the Fermi level: 1.8774 states/eV/atom
- E: -2.570 eV/atom

abc: 6.0587 6.0587 6.0587
angles: 90.00 90.00 90.00
With the nearest neighbours (Å) after each atom.
Element x y z (fractional)
1 Tl 0.0000 0.5000 0.0000  2 La 3.03
2 Tl 0.5000 0.0000 0.0000  2 La 3.03
3 Tl 0.0000 0.0000 0.5000  2 La 3.03
4 La 0.0000 0.0000 0.0000  6 Tl 3.03
5 Ir 0.5000 0.5000 0.5000  12 Tl 4.28


[5]
Material: ErTm3Pb2C
Method: DFT, PBE
State: relaxed

- DFT formation energy: -0.5548 eV/atom
>>>
© La Monte Young 2006